Entries >
=====
Structure and computed X-ray powder pattern of PrNdGa2Pd4 (a structure optimized by DFT (PBE); copper Kα).
Peak positions follow from Bragg's law for the DFT cell and can differ from measured ones.

```
data_PrNdGa2Pd4
_chemical_formula_sum 'Pr1 Nd1 Ga2 Pd4'
_cell_length_a 4.4675
_cell_length_b 4.4675
_cell_length_c 9.3935
_cell_angle_alpha 90.00
_cell_angle_beta 90.00
_cell_angle_gamma 120.00
_space_group_name_H-M_alt 'P -6 m 2'
_space_group_IT_number 187
_space_group_name_Hall 'P -6 2'
loop_
_atom_site_label
_atom_site_fract_x
_atom_site_fract_y
_atom_site_fract_z
_atom_site_occupancy
Pr1 0.0000 0.0000 0.0000 1
Nd1 0.6667 0.3333 0.5000 1
Ga1 0.3333 0.6667 0.2510 1
Pd1 0.0000 0.0000 0.3267 1
Pd2 0.6667 0.3333 0.1762 1
```

Principal peaks in the range 2θ = 10–90°, by angle:
two_theta  d_spacing  I/Imax  h k l
23.0  3.869  21  1 0 0
36.9  2.434  100  1 0 3
40.4  2.234  76  1 1 0
55.9  1.646  30  2 0 3
71.2  1.325  29  2 1 3
73.4  1.290  13  3 0 0

Structure and computed X-ray powder pattern of Pm4DyTe5 (a structure optimized by DFT (PBE); copper Kα).
Peak positions follow from Bragg's law for the DFT cell and can differ from measured ones.

```
data_Pm4DyTe5
_chemical_formula_sum 'Pm8 Dy2 Te10'
_cell_length_a 4.4182
_cell_length_b 4.4182
_cell_length_c 31.7444
_cell_angle_alpha 90.00
_cell_angle_beta 90.00
_cell_angle_gamma 90.00
_space_group_name_H-M_alt 'I 4/m m m'
_space_group_IT_number 139
_space_group_name_Hall '-I 4 2'
loop_
_atom_site_label
_atom_site_fract_x
_atom_site_fract_y
_atom_site_fract_z
_atom_site_occupancy
Pm1 0.0000 0.0000 0.1040 1
Pm2 0.0000 0.0000 0.3073 1
Dy1 0.0000 0.0000 0.5000 1
Te1 0.0000 0.0000 0.0000 1
Te2 0.0000 0.0000 0.2043 1
Te3 0.0000 0.0000 0.4048 1
```

Principal peaks in the range 2θ = 10–90°, by angle:
two_theta  d_spacing  I/Imax  h k l
28.1  3.174  48  0 0 10
28.6  3.124  100  1 1 0
40.5  2.227  71  1 1 10
40.8  2.209  38  2 0 0
50.3  1.813  38  2 0 10
74.1  1.279  24  3 1 10

Structure and computed X-ray powder pattern of NdDyCu2 (a structure optimized by DFT (PBE); copper Kα).
Peak positions follow from Bragg's law for the DFT cell and can differ from measured ones.

```
data_NdDyCu2
_chemical_formula_sum 'Nd2 Dy2 Cu4'
_cell_length_a 4.5061
_cell_length_b 5.4269
_cell_length_c 7.1515
_cell_angle_alpha 90.00
_cell_angle_beta 90.00
_cell_angle_gamma 90.00
_space_group_name_H-M_alt 'P m c 21'
_space_group_IT_number 26
loop_
_space_group_symop_operation_xyz
'x,y,z'
'-x,-y,z+1/2'
'-x,y,z'
'x,-y,z+1/2'
loop_
_atom_site_label
_atom_site_fract_x
_atom_site_fract_y
_atom_site_fract_z
_atom_site_occupancy
Nd1 0.0000 0.1188 0.0000 1
Dy1 0.5000 0.3844 0.3607 1
Cu1 0.0000 0.3796 0.6437 1
Cu2 0.5000 0.1316 0.7100 1
```

Principal peaks in the range 2θ = 10–90°, by angle:
two_theta  d_spacing  I/Imax  h k l
28.6  3.120  86  1 1 1
32.0  2.801  100  1 0 2
35.4  2.537  83  0 2 1
36.1  2.489  94  1 1 2
40.0  2.253  63  2 0 0
40.8  2.211  85  1 2 1

Structure and computed X-ray powder pattern of MgAg (a structure optimized by DFT (PBE); copper Kα).
Peak positions follow from Bragg's law for the DFT cell and can differ from measured ones.

```
data_MgAg
_chemical_formula_sum 'Mg4 Ag4'
_cell_length_a 5.9520
_cell_length_b 5.9520
_cell_length_c 4.8284
_cell_angle_alpha 90.00
_cell_angle_beta 90.00
_cell_angle_gamma 120.00
_space_group_name_H-M_alt 'P -6 m 2'
_space_group_IT_number 187
_space_group_name_Hall 'P -6 2'
loop_
_atom_site_label
_atom_site_fract_x
_atom_site_fract_y
_atom_site_fract_z
_atom_site_occupancy
Mg1 0.0000 0.0000 0.0000 1
Mg2 0.1681 0.3363 0.5000 1
Ag1 0.0016 0.5008 0.0000 1
Ag2 0.6667 0.3333 0.5000 1
```

Principal peaks in the range 2θ = 10–90°, by angle:
two_theta  d_spacing  I/Imax  h k l
17.2  5.155  39  1 0 0
34.8  2.577  30  2 0 0
37.2  2.414  26  0 0 2
39.6  2.274  100  2 0 1
51.9  1.762  18  2 0 2
68.8  1.365  18  2 0 3

Structure and computed X-ray powder pattern of TbDy3C2Se2 (a structure optimized by DFT (PBE); copper Kα).
=====
Assignment >
Your job: count the lines further up that contain the word "MgAg" and give the number alone.
Solution >
1